Auglaize River
June 11, 12, 13, 14, 2020



Auglaize River

# Calculated molecules from another source follow
........
Here is 3 unconnected molecules or ions with the total composition C32H54IN2O13P3SSi in a non-equilibrium geometry from the OMol25 dataset. Energies are from ωB97M-V/def2-TZVPD.

Its calculated total energy is -118341.002 eV. The SMILES is C=CC(=O)OCCCCCCc1cccc2c1N(I)c1ccc(P(=N)(O)O)c(CCO[Si](C)(C)C)c1S2.COP(=O)(OC)OC.COP(=O)(OC)OC. The calculation puts the lowest unoccupied orbital energy at -0.8 eV. As for the energy relative to the best compared isomer or geometry (same formula, charge and spin): 0.823 eV. The multiplicity is 1. The HOMO-LUMO gap comes out at 7.3806 eV. Its total charge is 0.

Each line ends with the Löwdin charge.
Element x y z (Å)
1 C -5.1429 -1.6545 -3.4158  0.029
2 C -3.9294 -2.3135 -3.4664  -0.055
3 C -2.6310 -1.5668 -3.6713  -0.464
4 O -2.4242 -1.1248 -4.7860  0.106
5 O -1.7112 -1.4139 -2.6762  0.002
6 C -0.3540 -1.4999 -3.1506  -0.180
7 C 0.6290 -1.6754 -1.9897  -0.192
8 C 1.9786 -0.9943 -2.3184  -0.201
9 C 3.1306 -1.5479 -1.4289  -0.198
10 C 4.2049 -0.4623 -1.1571  -0.174
11 C 4.4657 -0.1732 0.3689  -0.124
12 C 3.6484 1.0004 0.8641  -0.155
13 C 3.7424 2.2534 0.2877  -0.043
14 C 2.9919 3.3143 0.7263  -0.078
15 C 2.0987 3.1867 1.7601  -0.098
16 C 1.9934 1.9508 2.3511  -0.435
17 C 2.7569 0.8725 1.9375  -0.331
18 N 2.6515 -0.4162 2.5669  -0.399
19 I 0.8979 -1.3757 1.9329  0.976
20 C 2.6755 -0.3417 3.9945  -0.388
21 C 3.4944 -1.2201 4.6725  -0.008
22 C 3.4817 -1.1767 6.0453  -0.074
23 C 2.6986 -0.2924 6.7573  -0.197
24 P 2.7903 -0.4245 8.5606  0.534
25 N 3.6751 0.6906 9.1773  -0.158
26 O 3.3263 -1.9375 8.8589  -0.165
27 O 1.2800 -0.4445 9.1443  -0.147
28 C 1.8796 0.6220 6.0865  -0.197
29 C 1.0202 1.5720 6.9000  -0.108
30 C 1.1077 3.0661 6.4695  -0.293
31 O 2.2983 3.3662 5.7515  -0.238
32 Si 2.4968 5.0191 5.5126  0.442
33 C 3.0422 5.9218 7.0907  -0.162
34 C 3.7610 5.4328 4.1839  -0.157
35 C 0.8869 5.8831 4.9914  -0.156
36 C 1.9013 0.5567 4.7040  -0.373
37 S 0.8848 1.6477 3.7157  1.034
38 H -5.5194 -1.1741 -2.5048  0.067
39 H -5.8171 -1.5919 -4.2789  0.067
40 H -3.8647 -3.4049 -3.3994  0.102
41 H -0.2275 -2.2987 -3.8916  0.136
42 H -0.0914 -0.5514 -3.6412  0.121
43 H 0.2137 -1.1813 -1.1059  0.062
44 H 0.8042 -2.7312 -1.7471  0.116
45 H 2.2242 -1.0750 -3.3853  0.116
46 H 1.8682 0.0797 -2.1088  0.112
47 H 2.7166 -1.9999 -0.5231  0.054
48 H 3.6177 -2.3542 -1.9938  0.108
49 H 3.9557 0.4715 -1.6694  0.092
50 H 5.1651 -0.8361 -1.5347  0.103
51 H 4.2031 -1.0974 0.8907  0.093
52 H 5.5384 -0.0335 0.5549  0.118
53 H 4.4473 2.4045 -0.5282  0.122
54 H 3.1375 4.2714 0.2304  0.114
55 H 1.5001 4.0179 2.1209  0.104
56 H 4.0893 -1.9266 4.1021  0.125
57 H 4.1195 -1.8867 6.5666  0.107
58 H 4.4640 0.2819 9.6703  -0.027
59 H 4.1236 -1.8956 9.3991  0.077
60 H 1.0722 -1.3243 9.4883  0.081
61 H 1.2697 1.5357 7.9609  0.080
62 H -0.0221 1.2417 6.7859  0.132
63 H 0.1884 3.3129 5.9225  0.086
64 H 1.1052 3.6646 7.3956  0.114
65 H 2.9830 6.9948 6.8691  0.032
66 H 2.2613 5.7317 7.8413  0.026
67 H 4.0313 5.6123 7.4347  0.034
........

Trip leader Wil knows Ken and Vicki Siefker, owners of the Siefker Sawmill just outside Delphos, Ohio. They own a wonderful piece of property along the Auglaize River with a nice log cabin and a great camping area for OHCRA folks who love tent camping. Wil and Gloria arrived early Thursday afternoon and set up camp followed by Ted and Connie, Harold and Laurie and Tom. Early evening saw Tony and Tootsie the dog pull in and set up. The eight folks sat around a wonderful campfire, fed with slab wood from the sawmill which was 100-150 yards away. The warm, starlit evening was very relaxing especially after all the coronavirus issues 2020 had brought to the world.

Friday morning had a slow start then talk of paddling a 7.5-mile upstream stretch was had. Tom, Tony and Wil shuttled to the Main Street bridge just north of Buckland. The USGS stream gage read 2.6 feet. 6 more inches of water would have been nice, but everyone made it downstream just fine. Tootsie was riding shotgun in Tony's canoe and since Tony forgot the dog pad he made for the front of the canoe, Tootsie tried riding on an extra paddle. One hard thrush of Tony's paddle to get through a low area, sent Tootsie into the water. The wet looking rat was pulled back in the boat and life continued. The OHCRA members saw turtles, squirrels, blue herons, Baltimore Oriole and numerous other songbirds. Tootsie managed to fall into the river a second time and after dog paddling a moment, she spent the rest of the trip in between Tony's legs. There were not many pictures taken to document the excursion since Tony dropped his old cell phone that was being used just for a camera, into the water. After searching a few minutes, it was found and turned off to help save it. A saying materialized "not a violent person. I just cuss a lot". The 7.5-mile mark at Agerter Road has a nice designated launch ramp. The Happy Paddles Canoe Livery uses that part of the river and keeps it cleared.


Back at camp the other folks played Yahtzee for money while enjoying a beautiful day camping. Soon everyone was back at camp. Tony was craving wings since the virus had places shut down for so long. Gloria knew of a place in Lime, 15 minutes away and she was craving a draft beer. Off Laurie, Gloria, Ted, Connie and Tony went, to the Beer Barrel for food and draft beer, the first Gloria has had since the world changed. Wil went to Delphos and picked up three grandchildren, Leyton, Lillian and Sabastian who brought energy and Wil also got his dog, Teddy. Lance drove in, Coleen, Murphy her dog, and Liz greeted, and lastly, Chuck. Our hosts, Ken and Vicki came down and talked about the history of their property and other tidbits of interesting items. They invited us to see their collection. They collect old miniature Subaru's that look like what the Shriners would drive in a parade. There was even a miniature teardrop camper, just for show. Some poker games and another wonderful campfire rounded out the day.


It was a good club turn out with more coming in on Saturday. Chuck's gal Kerri met everyone at shuttle time and our soon to be newest member Noah came in, introduced himself and had a kkkayak. It wasn't held against him. Vehicles were shuttled downstream to Fort Jennings and at 10:26 am 9 boats launched from the cabin/campsite into the Auglaize for a 7.5-8-mile trip. It was getting very windy as a cold front moved through Ohio but with the tree line and traveling north on the river, the wind wasn't noticeable much at all. They saw deer, beaver and the other common animals. The shallow Auglaize River has lots of weed beds in the stream. The way the river splits and breaks up around the weeds makes deciding which route to take very challenging. If you took the wrong route it would be too shallow. You also got more experience in turning your craft. Wil was paddling a new Old Town Discovery solo canoe. The short 11-foot canoe flips easy and it did while getting in at the start. Tom flipped his canoe the day before while getting out at the ending point. Just goes to show that with years of experience mishaps still happen. Noah being with the club members for the first time did great and even stayed with everyone. Sometimes the members paddle fast, but Noah handled his boat well and even shot the low head dam that the others lined their boats through.

After taking out at the Fort Jennings Community Park, it was back to camp for drinks and relaxation. Ted and Connie, Harold and Laurie and Tom all left on Saturday for other commitments. Due to the virus, there wasn't any normal potluck. Everyone had to feed themselves to keep socially distanced and not share utensils. More campfire time ensued and that evening the heat felt good as the temperatures dipped to the low 50's.

Sunday morning was on the cool side, but the sun promised warmth for the day. Tony was on the road to home before anyone else was stirring. Talk of paddling the 7.5 miles from Friday's trip was discussed. In the end no one paddled on Sunday. Slowly the tents were packed, and members drifted off to home. At last an OHCRA outing was had in 2020. Hopefully another will be held in July.

Chopping Wood

View All Pictures From the Auglaize

See Wil's Deer